Friday, March 27, 2015

Principles of Design- Unity

Contrast: -17
Highlights: -34
Blacks: +25
Clarity: +73
Vibrance: +43
Saturation: +17

At first this photo looks like it should be variety, but I believe on closure inspection it works well for unity. Firstly, the mural its self was designed to be abstract but coherent and work well together, so even though it is all different the colors and pictures flow into each other and mix well. Beyond the mural it's more or less symmetrical. The shadow of the speaker is centered, the two longer shadows on the sides are at the same point, and the bricks are even. This photo also uses good rule of thirds. The sky is the top third, the bricks the middle, and the grass the bottom. Then the first wall is the left side, mural is the middle, and the right bricks are the right side. There is also a ramp on the left side, making it unbalanced but the blue paper on the wall offsets it, restoring the balance and making unity. 

Principles of Design- Variety

Temperature: +2
Tint: -14
Contrast: +18
Highlights: -8
Shadows: -11
Whites: +14
Blacks: -10
Clarity: +27
Vibrance: +12
Saturation: +30

This photo simultaneously has no symmetry and has it. The line that the top of the car creates is straights, but the line the back fence part makes is a little angled. On the left side of the photo, behind the truck is a traffic cone pole, on the right side is a statue, different but complementary. The latter on the truck in the middle of the frame stands out, it is a different color and angle than everything else, and from there your eyes may go to the trash cans, one making a circle the other part of a rectangle. It is symmetrical because the back of the truck has the red lights on either side with the wheel mud guards, and then the silver trailer hitch right in the middle. Finally the word "good" written in bricks is on the bottom, the O's make symmetry, the G and D don't. And it says good, therefor my picture IS good. 

Principles of Design- Rythm

Temperature: +9
Tint: -5
Exposure: +.85
Contrast: -19
Highlights: -48
Shadows: +48
Whites: +8
Blacks: +1

Rhythm was defined by using several different principles of design to create organized movement. This photo is a little darker in the bottom left, but as you follow it up to the upper right the photo becomes lighter. There is repetition within the railings, with the poles that keep them standing. There is also balance, the structure on the left takes up part of the frame, but is balanced by the lack of structure on the right. Each rectangle in the cement creates a path going up the ramp, and you can image following it, jumping from one to the next, like their is a rhythm to it. 

Principles of Design- Proportion

Tint: -25
Exposure: +1.3
Contrast: -25
Whites: +41
Clarity: +45
Saturation: +21

### Someone pasted quantum chemistry results at this point
(1)
The ion C6H12N with charge +1 in a non-equilibrium geometry, computed with wB97M-V/def2-TZVPD.

```
19
Properties=species:S:1:pos:R:3:lowdin_charge:R:1
C -1.1272 -0.4541 2.0683 -0.037
N -0.2934 -0.6806 0.9275 0.000
C -0.0139 0.5030 0.0992 -0.236
C -1.1485 0.9586 -0.8801 -0.100
C -0.1747 0.6634 -1.9776 0.010
C 0.8080 0.2868 -1.1574 -0.293
C 2.1401 -0.1041 -1.5013 -0.051
H -0.7361 0.3547 2.7283 0.128
H -2.0802 -0.1009 1.7981 0.083
H -1.4491 -1.3154 2.7232 0.135
H -0.7817 -1.3952 0.1545 0.280
H 0.6261 -1.0508 1.1268 0.177
H 0.5115 1.2042 0.8116 0.185
H -1.3620 2.0086 -0.7627 0.109
H -2.1913 0.4504 -0.8583 0.148
H -0.2593 0.8990 -3.0463 0.139
H 1.9537 -1.0106 -2.2583 0.142
H 2.8313 -0.6281 -0.7471 0.108
H 2.7202 0.5875 -2.0658 0.074
```

Results
* net charge: +1
* molar mass: 98.17 g mol⁻¹
* LUMO level: -3.4 eV
* spin multiplicity: 1
* SMILES string: C[NH2+][C@@H]1CC=C1C
* energy relative to the best compared isomer or geometry (same formula, charge and spin): 57.6 kcal/mol


(2)
A cluster of 11 separate species, C33H70N2O16S in total in a non-equilibrium geometry, computed with wB97M-V/def2-TZVPD.

```
122
Properties=species:S:1:pos:R:3:lowdin_charge:R:1
N 7.1351 1.9136 1.8644 0.118
C 6.4427 1.2660 0.9562 -0.138
O 5.7141 0.4913 -0.0623 -0.063
C 4.2530 0.5747 0.1246 -0.069
C 3.3576 1.9202 -0.3035 0.093
C 1.7050 1.9689 -0.0773 -0.046
C 0.9046 3.3476 -0.5057 -0.072
C 0.9108 4.2214 1.0490 -0.129
C 2.4188 5.0013 1.4122 -0.012
O 1.8600 3.6397 2.1460 -0.283
C 0.8515 0.6837 0.5607 -0.039
C -0.7742 0.6542 0.7675 -0.226
S -1.4112 1.6674 2.2103 0.789
O -0.3701 1.9423 3.3252 -0.402
O -2.1335 2.9366 1.6738 -0.452
C 1.7422 -0.6205 0.9982 0.037
C 3.3739 -0.6655 0.7973 0.064
C 3.8932 -2.1227 1.3844 -0.214
O 5.0662 -2.7355 1.1621 0.012
N 2.7070 -2.5105 2.2571 0.046
C 1.3532 -2.0617 1.6731 -0.208
O 0.1638 -2.6673 1.7096 -0.002
H 3.9093 2.8470 -0.7768 0.117
H -0.2297 3.1817 -0.7593 0.102
H 1.4836 4.0282 -1.2608 0.122
H -0.1442 4.8107 1.3866 0.164
H 3.4117 4.4041 1.1478 0.094
H 2.5714 5.4385 2.5125 0.121
H -1.2535 1.1018 -0.2232 0.113
H -1.1930 -0.4568 0.8532 0.123
H -2.4378 0.8785 2.8225 0.097
H 2.8483 -1.9367 3.1342 0.157
C 6.7652 -6.1509 2.6401 -0.089
C 5.7575 -6.4367 3.7342 -0.327
O 5.0699 -5.2446 4.0839 -0.097
H 7.4863 -5.3953 2.9690 0.080
H 7.3072 -7.0591 2.3621 0.073
H 6.2681 -5.7506 1.7505 0.065
H 6.2607 -6.8157 4.6287 0.097
H 5.0252 -7.1818 3.4083 0.109
H 4.6196 -4.9208 3.2849 0.069
C 8.4177 -6.2820 -1.2917 -0.093
C 8.8958 -7.6828 -0.9705 -0.332
O 7.7881 -8.5125 -0.6526 -0.094
H 7.8736 -5.8568 -0.4419 0.065
H 9.2602 -5.6285 -1.5345 0.075
H 7.7249 -6.2940 -2.1395 0.073
H 9.5704 -7.6691 -0.1092 0.113
H 9.4296 -8.1198 -1.8200 0.105
H 7.1994 -8.5248 -1.4268 0.086
C -4.8420 0.8923 -0.6744 -0.077
C -4.3135 1.5596 -1.9272 -0.308
O -3.2457 0.7969 -2.4696 -0.094
H -4.0475 0.7918 0.0724 0.061
H -5.6630 1.4704 -0.2412 0.082
H -5.2005 -0.1183 -0.8957 0.053
H -3.9361 2.5606 -1.6977 0.106
H -5.0988 1.6520 -2.6837 0.112
H -3.5932 -0.0873 -2.6778 0.061

In this photo I was trying to be creative in showing proportion using small things. The water nozzle thing is small, and so is the whip cream cap, but I got close and made them fill part of the frame. The cap was the perfect size to make a little hat for the nozzle 

Lens Photo - Variety

Our group chose photo number 5 to show variety

It shows variety through multiple uses of principles of design. The people in the background create balance with those in the foreground. Your eye is immediately drawn to the girls flute or the can on the left because they are the only things in that third of the picture, thus showing emphasis. Once the eye is drawn the to the flute it follows the straight line it creates to the right, then it may see the drummers sticks and follow those, or got along to the upper right and look at the peoples faces one by one. It also shows good rhythm. You can see the different levels of dancing that people are at, and the flutist leaning back to her music and the drummers concentration give the feel as if the music is coming through the photo.

Monday, March 23, 2015

Movie Monday Half Past Autumn Part 3 and 4

1) Success to me is accomplishing what you want and having the outcome you want. You could be successful by making a lot of money if that's what you want, or you could be successful by managing your office well. For me, I would like to be successful in the fact that I make a decent amount of money, probably by running an important part of a corporation.

2) To be successful in school I had to give up some success in cross country. I didn't have the time and energy to do both as best I could, so I had to choose which one I would devote my energy to, and I chose school. (I still did cross country but I didn't improve any from last year)

3) Gordon gave up his family life and a lot of money at times to be successful.

4)Her step-father was one of the founding father of the UN, Ambassador V.K. Wellington Koo

5) At first 5,000 but then it was changed a few times and ended at 10,000 dollars

6) A half million dollars

7) He refused the money because he believed Muhammad would influence what he created. He refused based on his principles.

8) The learning tree was the first major Hollywood film written and directed by a black person.

9) Shaft was the first black super hero. He gave young black kids a role model to look up to that they didn't have before.

10) Gordon's choice of weapons were film, photography, writing, and music.

11) She said it was to much to manage the turmoil in Gordon's life, and that they hardly saw each other and both were occupied with their carriers.

The page is interrupted by calculated molecules:
+++
# 1
A molecular structure, C10H20CrNO7 at a distorted geometry. Source: the Open Molecules 2025 dataset; level of theory: ωB97M-V/def2-TZVPD.

Positions of all 39 atoms, in Å:
H: 0.9476 3.6676 -1.5748
H: 2.2876 2.0403 1.2801
H: -1.1987 1.9253 -2.5211
Cr: -0.1836 -1.0501 0.5752
C: -1.5172 -1.1100 -1.7340
H: -1.2939 -1.1580 -3.9274
C: 1.2863 2.3980 1.0402
C: -2.0370 -1.5618 2.3469
O: 1.5391 -2.3129 0.6595
H: 3.1117 -3.3625 2.7023
C: 3.2397 -2.3273 2.3862
O: -1.4957 -0.5046 2.1892
H: 1.8276 0.6040 -0.5834
H: -2.6623 -1.3423 4.3205
O: 0.9578 1.9962 -2.7255
H: -0.5344 3.3521 -3.3888
C: -2.0698 -1.1887 -3.1624
C: -0.3959 2.2957 -3.1586
C: 1.2741 2.6287 -1.5285
H: 2.3631 2.6505 -1.4877
C: -3.0665 -1.7969 3.4161
H: -2.7481 -0.3602 -3.3665
C: 0.6817 1.9102 -0.2898
H: -0.5491 1.8182 -4.1264
H: -3.1535 -2.8591 3.6445
H: 0.6417 0.4515 -1.3921
H: 1.3653 3.4796 1.1493
H: 3.5023 -1.8118 3.3100
H: 4.1379 -2.2599 1.7724
H: -4.0219 -1.3764 3.1021
C: 2.0266 -1.7858 1.6930
O: 1.3221 -0.8342 2.0664
O: -1.5412 -2.4345 1.6168
H: 0.6367 2.0033 1.8215
O: -0.6834 -1.8983 -1.2651
H: -0.3968 2.0684 -0.2850
H: -2.6068 -2.1132 -3.3745
N: 0.8362 0.5330 -0.4043
O: -1.8292 -0.3739 -0.7964

2S+1 = 5
net charge = +1
<S²> = 6.054
highest occupied orbital energy (spin up / spin down) = -13.31 / -13.07 eV
energy relative to the best compared isomer or geometry (same formula, charge and spin) = 0.000 eV
frontier orbital gap (spin up / spin down) = 8.456 / 4.400 eV

Mulliken atomic charge list, values in e, 2 entries: 0.4473 0.3172


# 2
A molecular structure, C32H18F3N5O8SW. Source: the Open Molecules 2025 dataset; level of theory: ωB97M-V/def2-TZVPD.

Positions of all 68 atoms, in Å:
C: -4.3003 2.1228 -3.0933
C: 0.9321 -3.3947 -4.2260
H: -5.7186 3.6246 -2.5322
C: 3.0017 1.4723 -0.4794
C: -3.2530 2.4911 -0.5255
C: 3.9051 2.5174 -0.5881
H: -0.4537 -1.2674 5.9022
O: 0.4635 0.9504 -4.3669
C: -0.8845 -1.3246 2.0439
H: 0.2021 3.0206 0.2735
C: 0.7332 0.2988 -3.4124
H: -4.7052 2.0018 -4.0887
H: -1.9156 -2.1456 -0.9522
C: -0.5671 -1.2854 4.8263
C: -1.8154 -1.9761 2.8557
H: -3.5342 -3.2900 2.8213
O: -1.1470 -0.2693 -1.5883
H: 0.7959 -1.6140 -5.4667
N: 1.7371 1.6950 -0.1433
H: -3.5486 -3.4452 0.3484
C: 1.2481 2.9296 0.0316
H: 1.0836 -4.9217 -2.6864
C: -1.6351 -1.8712 4.2781
H: -2.8378 2.6198 0.4664
O: -0.7705 1.1281 -0.0267
H: 1.6986 5.0034 0.0867
W: 0.7186 -0.2435 -0.4906
C: -4.8646 3.0405 -2.2139
C: -2.8082 -2.7537 2.2290
N: -2.6586 -2.4030 5.2042
H: 0.9303 -4.0916 -5.0536
H: 4.1133 4.6376 -0.4587
O: 1.0296 -4.2552 0.0963
H: -4.8066 3.9377 -0.2604
C: -2.8229 -2.8348 0.8663
H: -2.7581 0.6551 -3.3643
C: 1.0118 -3.8678 -2.9205
S: 3.2098 -0.2319 -0.7090
N: -0.9661 -1.3545 0.6944
N: 1.1426 -0.0731 1.7661
O: 0.9352 0.7997 -2.1692
C: 2.0889 4.0091 -0.0716
C: 2.2547 0.4142 2.3013
C: 2.5238 0.3981 3.6675
C: 5.3518 2.2305 -0.9065
C: -4.3500 3.2238 -0.9322
C: 0.8586 -1.1766 -3.3870
F: 5.4625 1.6184 -2.0900
F: 6.0756 3.3397 -0.9328
O: -3.8074 -2.3752 4.8138
N: 0.9401 -1.6449 -2.1492
+++

12) the movie 12 years a slave.

13) Gordon Parks Jr. was Gordon's oldest son. Like his father he was a successful film director. He died in a tragic plane crash on his was to film a new movie.

14) My favorite photo is called "Grease Plant Worker" under Gordon's Standard Oil archive.

15) I will remember Gordon for his ideals. I'll remember how he doesn't do what he disagrees with. He turns down large sums of money because he doesn't agree with the message he is suppose to convey. I will also remember how he worked because that's what he loved to do, he was to busy to worry about racial boundaries, he just acted a person.

Thursday, March 19, 2015

Principles of Design- Repetition

Their is repetition in the 4 yellow pole things, they separate the photo into sections. There is also repetition in the slats of the green planks on the top of the photo, and also repetition with the three doors behind the yellow poles. 

Contrast: +36
Highlights: +65
Shadows: -20
Whites: -25
Blacks: -27
Clarity: +33
Vibrance: +56
Saturation: +6

Principles of Design- Pattern

The pattern can be seen in the bricks, how each brick is off set with the row below it, but then in line with the next. There is also some pattern in the fact that the bricks make steps on the right side.

Exposure: +.30
Contrast: +66
Highlights: +3
Whites: +23
Blacks: -23
Vibrance: +37

Thursday, March 12, 2015

Principles of Design- Movement

I tried to show movement by using the lines that the fence created. You start looking at the close part of the fence, but as you move down you notice lines, so you follow those. The lines fade but then the street picks up the lines at a new angle and you follow that. on the far right the sky is brighter than the rest of the picture so you look their and then continue looking through the trees along the top. Or you may have gotten to the right side and moved down towards the shadow and followed the rough line the yellow leaves made. 

Contrast: +12
Highlights: -28
Shadows: +48
Whites: +39
Vibrance: +34
Saturation: +13

Wednesday, March 11, 2015

Principles of Design- Emphasis

Emphasis is on the berries, structures are the back ground. The berries are a vivid color which draw your attention, they are also much closer and larger than would be expected. I would have preferred them to much clearer and to have better depth of field but unfortunately my phone does not have a very good camera. 

Exposure: -.4
Contrast: +38
Highlights: +18
Whites: +11
Clarity: +56
Vibrance: +20
Saturation: +5

Principles of Design- Balance

This shows balance in the sense that it is symmetrical. The orange pipes are at opposite angles and connect with the horizontal fence at the same moment. The yellow pole is dead center with the two silver poles on either side, even though they were actually away from the center pole.  

### Misplaced records of molecules
Entry 1:
Density functional theory data (ωB97M-V/def2-TZVPD) for an isolated ion of composition C5H9Br2N2 and charge +1.

Geometry (Å):
1 H -2.820 -0.671 1.429
2 H 2.487 1.652 -1.311
3 H 2.393 0.066 -2.091
4 C 1.755 0.826 -1.742
5 Br -0.282 -2.604 2.150
6 H 1.153 1.235 -2.526
7 H -0.816 0.320 2.051
8 C 1.159 -1.020 -0.012
9 C -0.033 0.976 0.168
10 H -0.805 1.458 -0.598
11 H -2.185 -1.096 -0.176
12 H -2.595 0.751 0.466
13 H 0.324 1.741 0.796
14 Br 2.188 -2.390 -0.639
15 C 0.039 -1.180 0.903
16 C -2.203 -0.286 0.651
17 N -0.762 -0.019 1.035
18 N 1.002 0.242 -0.556

LUMO: -3.35 eV
maximum force: 5.82 eV Å⁻¹
net charge: +1
HOMO energy: -11.96 eV
ΔE to the lowest compared entry with this formula, charge and spin: 61.3 kcal per mole
SMILES: CN1C[N@@H+](C)C(Br)=C1Br

Entry 2:
Density functional theory data (ωB97M-V/def2-TZVPD) for a 3-piece molecular cluster, C5H9Br6NO overall.

Geometry (Å):
1 C 2.751 -0.871 2.486
2 Br 3.937 -0.954 0.851
3 H -0.259 0.626 1.468
4 H -2.916 -1.408 -1.619
5 H 1.074 0.679 -2.042
6 H 1.211 2.058 1.382
7 C 0.262 1.289 -1.646
8 O -1.260 -0.356 0.037
9 Br 3.616 -1.336 4.180
10 H 2.421 0.158 2.629
11 H 0.123 2.315 -1.988
12 H 1.300 3.038 -0.024
13 C 1.437 2.012 0.317
14 Br -4.208 -2.533 -3.520
15 Br -5.267 -1.253 -0.712
16 C -0.509 0.465 0.408
17 Br -3.071 -3.817 -0.685
18 H 2.471 1.795 0.049
19 N 0.337 1.227 -0.224
20 C -3.720 -2.143 -1.649
21 Br 0.958 -1.880 2.297
22 H -0.689 0.888 -1.997

LUMO (alpha / beta): 1.59 / 1.59 eV
maximum force: 5.45 eV Å⁻¹
net charge: -1
HOMO energy (alpha / beta): -1.34 / -5.53 eV
ΔE to the lowest compared entry with this formula, charge and spin: 0.0 kcal per mole
multiplicity: 2

Entry 3:
Density functional theory data (ωB97M-V/def2-TZVPD) for a 2-piece molecular cluster, C5H9BrN2O5 overall.

Geometry (Å):
1 C 0.134 -0.522 1.228
2 Br -1.274 -1.758 1.532
3 H -1.537 -1.278 -0.945
4 N -0.215 0.723 1.676
5 N -2.204 1.333 -0.835
6 O 0.656 1.502 1.990
7 H 2.241 -0.172 -0.958
8 H 0.050 -1.843 -1.507
9 H 2.128 -0.856 0.889
10 C 1.449 -1.060 1.635
11 H 1.479 1.362 -0.343
12 O -0.775 1.312 -0.691
13 C 1.414 0.618 -1.088
14 C 0.021 0.188 -0.943
15 O -1.376 1.036 1.750
16 H 1.438 -2.152 1.768
17 H -1.075 -0.794 -2.509
18 O -2.504 2.474 -0.934
19 H 1.827 -0.559 2.627
20 C -0.628 -1.055 -1.511
21 O -2.845 0.355 -0.790
22 H 1.599 1.148 -2.041

LUMO (alpha / beta): -0.54 / -0.54 eV
maximum force: 3.67 eV Å⁻¹
HOMO energy (alpha / beta): -9.14 / -9.14 eV
ΔE to the lowest compared entry with this formula, charge and spin: 20.1 kcal per mole

Entry 4:
Density functional theory data (ωB97M-V/def2-TZVPD) for one molecule with the formula C5H9Cl2N.

Geometry (Å):
1 H -0.292 1.980 -0.051
2 Cl 0.204 -2.255 0.146
3 H -2.706 -0.162 0.958
4 H -2.031 1.690 0.434
5 C -2.296 -0.600 0.047
6 C 2.854 -0.685 0.091
7 C 0.166 -0.562 -0.110
8 H 2.557 -1.650 -0.346
9 C -1.232 1.475 -0.308
10 H -2.988 -0.291 -0.800
11 C 1.692 0.078 0.634
12 N -1.032 0.037 -0.244
13 H -2.185 -1.653 0.101
14 H 3.571 -0.918 0.910
### So much for the records of molecules

Cropped to straighten
Contrast: +35
Shadows: -45
Blacks: -31
Clarity: +24

Friday, March 6, 2015

Elements of Art - Plant Life Texture


Rotated and Cropped
exposure -1.35
contrast +27
highlights -17
shadows -14
clarity +31
saturation -100

Elements of Art - Plant Life Color

Exposure -.90
Contrast +32
Whites -47
Clarity +34

Elements of Art - Plant Life Space

Edits for the 1st one:
exposure: +.95
blacks: +74
clarity: +28

Andrew was just to good not to include
Edits for 2nd one:
temperature +17
tint -4
highlights +38
shadows +54
clarity +38

Monday, March 2, 2015

Half Past Autumn - Gordon Parks pt 1 and pt 2

1) The doctor but him in an ice bath and scrubbed him against the ice.
2) Kansas
3) She told him that black people don't go to college, and the few that due don/t succeed.
4) 15
5) Saint Paul Minnesota to live with his sister.
6) He did not graduate High School but he received many honorary degrees from colleges.
7) He walked into the store Frank Murphy's and said he was a fashion photographer. They set up a shoot for him and he did pretty well.
8) Two pictures get exposed on the same frame of film.
9) He was a professional heavy weight champion boxer.
10) Piano
11) To educated the public of the poverty occurring during the great depression.
12) Go to a store and purchase an overcoat, walk across the street and eat at a restaurant, then cross to the corner and watch a movie.
13) She was a janitor is the farm administration building that Gordon photographed.
14) He was inspired by the architecture of a lone farm building and the culture of rural america.
15) He learned from Stryker that the people in front of the camera are the most important people, not the one taking the picture.


16) The FSA shut down of 1943.
17) He worked for Vouge
18) Wilson Hicks
19) After starting to work for LIFE his first major assignment was on crime, following Red Jackson.
20) Picasso, Vango, Brenard,Brugol
21) He shot fashion by letting his models move, and moving with them.
22) Venice
23) Elizabeth Campbell Rollins. She was a model.
24) He met Flavio when Flavio was 12.
25) Parks met Flavio in the early 1960's
26) Flavio lived in rio de janeiro in a favela.
27) Gloria Vanderbilt was an author actress and heiress. Her son is Anderson Cooper, and news anchor for CNN. Her ancestors are the Vanderbilt family who made a fortune in the railroad industry then expanded.
28) She said they were friends, but she also didn't care about the social boundaries, but Parks new that they mattered and would stop them from being anything more.